Work order
Count the lines further below that contain the word "an" and give the number alone.

Contents
- - -
Record 1
# C41H44Br9N5O16

C41H44Br9N5O16 as an isolated structure in a non-equilibrium geometry (wB97M-V/def2-TZVPD, the OMol25 dataset).

Each line ends with the Mulliken charge.
Geometry (Å):
1 C 4.3226 -1.7685 -2.3156  -0.7386
2 C 5.1806 -0.8055 -1.8359  -0.5444
3 C 5.1402 -0.4730 -0.4950  -0.3249
4 C 4.2651 -1.1705 0.3530  -0.4719
5 C 3.3203 -2.0795 -0.1505  0.5494
6 C 3.3759 -2.3562 -1.4834  -0.4280
7 N 4.2229 -0.8098 1.8075  1.0383
8 O 4.9731 0.0328 2.2489  -0.6384
9 O 3.4048 -1.3483 2.5311  -0.3828
10 H 4.3516 -2.1744 -3.3160  0.4174
11 H 5.9087 -0.3754 -2.5076  0.3678
12 H 5.6806 0.3726 -0.0957  0.4749
13 H 2.5639 -2.4959 0.4983  0.2789
14 H 2.6670 -3.0449 -1.9188  0.4457
15 C -0.4851 2.2112 1.2943  -0.0681
16 C 0.6384 1.8065 2.0405  0.1716
17 C 1.2535 2.6441 2.9424  -0.2548
18 C 0.7139 3.9345 3.2216  -0.5336
19 C -0.4335 4.3406 2.4666  -0.6130
20 C -1.0253 3.4536 1.5174  -0.9879
21 N 1.3948 4.8736 4.1205  1.0205
22 O 2.4735 4.5767 4.6043  -0.6072
23 O 0.8296 5.9414 4.4178  -0.6109
24 H -0.8754 1.4559 0.6283  0.3321
25 H 1.0001 0.7943 1.9349  0.4367
26 H 2.1187 2.2274 3.4366  0.5916
27 H -0.6117 5.4022 2.5543  0.5262
28 H -1.8550 3.8216 0.9322  0.5523
29 C -1.9671 -6.0904 2.9619  -0.9149
30 C -2.0043 -5.7801 1.6075  -0.5800
31 C -0.8091 -5.4992 0.9092  -0.2234
32 C 0.4073 -5.4646 1.6109  0.0207
33 C 0.3306 -5.6077 2.9700  0.3248
34 C -0.8254 -5.8081 3.7128  -0.4633
35 N 1.6930 -5.1143 0.8940  0.9531
36 O 1.6307 -4.8512 -0.3074  -0.5687
37 O 2.6850 -5.0035 1.5808  -0.5019
38 H -2.9005 -6.2742 3.4732  0.5779
39 H -2.9556 -5.9816 1.1376  0.6050
40 H -0.8791 -5.3589 -0.1594  0.4219
41 H 1.2178 -5.3563 3.5321  -0.2022
42 H -0.7178 -5.9041 4.7831  0.4800
43 C -6.3810 -0.7165 -1.6805  -0.8308
44 C -7.1400 0.4297 -1.4303  -0.3315
45 C -6.6262 1.6777 -1.1939  -0.7044
46 C -5.2739 1.8090 -1.3926  -0.4585
47 C -4.4882 0.6714 -1.7195  0.4138
48 C -5.0458 -0.5700 -1.7986  -0.3036
49 N -4.5987 3.0442 -1.0559  1.0139
50 O -5.2623 4.0344 -0.7226  -0.7957
51 O -3.3545 3.0851 -1.1743  -0.6787
52 H -6.8856 -1.6701 -1.7299  0.3851
53 H -8.2103 0.3340 -1.5385  0.3435
54 H -7.2291 2.5419 -0.9567  0.4904
55 H -3.4128 0.6773 -1.8186  0.4108
56 H -4.3777 -1.4039 -1.9558  0.4823
57 C -0.2356 3.9583 -5.3488  -0.3661
58 C 0.4909 2.8253 -5.6697  -0.4956
59 C -0.1042 1.5925 -5.5486  -0.1609
60 C -1.4889 1.5170 -5.1219  -0.1783
61 C -2.1838 2.6942 -4.7583  0.0089
62 C -1.6322 3.9728 -4.9295  -0.8141
63 N -2.0927 0.2387 -4.8612  1.0547
64 O -3.2206 0.1204 -4.4567  -0.6818
65 O -1.3403 -0.7040 -4.9593  -0.7161
66 H 0.2624 4.8887 -5.5784  0.3630
67 H 1.5474 2.7951 -5.8919  0.4249
68 H 0.5821 0.7595 -5.5876  0.4100
69 H -3.2097 2.6843 -4.4209  0.3727
70 H -2.2569 4.8246 -4.7046  0.4334
71 C -0.9699 -1.0731 3.3407  -1.2618
72 C -0.6307 -2.1837 2.3665  1.8067
73 O -0.0334 -1.5895 1.2183  0.5360
74 C -0.7218 -1.3543 0.1144  -0.2006
75 O -1.9678 -1.6949 0.0167  -0.5290
76 O 0.0938 -0.9363 -0.8087  0.5403
77 C -0.4031 -0.8106 -2.1237  -0.8846
78 H -1.3002 -1.4956 4.2896  0.5255
79 H -1.8302 -0.4663 3.0582  0.2411
80 H -0.1239 -0.4423 3.6133  0.1733
81 H -1.5001 -2.7993 2.1359  -0.8126
82 H 0.0215 -2.7894 2.9956  -0.7584
83 H -0.6397 -1.6921 -2.7195  0.3893
84 H 0.4160 -0.3043 -2.6345  0.2497
85 H -1.1412 -0.0098 -2.1687  0.0958
86 C 2.4705 2.2124 -0.8768  -0.3772
87 C 2.5176 2.1040 -2.4093  0.2115
88 O 3.2955 3.2150 -2.8839  -0.3354
89 C 4.6661 3.1535 -2.7775  0.6550
90 O 5.3697 2.2316 -2.3046  -0.5295
91 O 5.1121 4.1554 -3.4837  -0.3563
92 C 6.4886 4.2611 -3.7555  -0.6283
93 H 1.8104 1.4688 -0.4302  -0.3584
94 H 2.3054 3.1736 -0.3901  0.5044
95 H 3.4675 1.9683 -0.5101  0.1436
96 H 1.5175 2.1668 -2.8381  0.1676
97 H 3.0333 1.2029 -2.7413  0.0853
98 H 6.9796 4.2942 -2.7829  0.2904
99 H 6.8033 5.1563 -4.2917  0.2329
100 H 6.8381 3.4394 -4.3806  0.2759
101 C -4.6496 -3.1539 1.6395  1.3826
102 Br -5.5984 -1.4766 1.8912  -0.0732
103 Br -5.2387 -4.1152 -0.0718  -0.0866
104 Br -4.7354 -4.2748 3.2173  -0.0822
105 H -3.5976 -2.8717 1.5975  -1.1688
- - -

Done
1